Page 5 of Dreams of Magic
Kenzie wanted to be mad, but she couldn't work up the anger. She could understand her mom wanting to keep her to herself. But to not tell her something like that; she couldn't take it. It was too much right now.
Her mom wasn't here for her to yell at like she did as a teenager. Mom called them tantrums. She couldn't slam a door to show her she was upset or use all the hot water, so she had to wait for a shower. She used to sneak out of the house and go sit by the dock, just to scare her mom when she was really mad.
She always had a bad attitude as a teen, but those tantrums would never last more than a few minutes. She would always come back and there would be a cup of hot chocolate on the counter, and Mom would ask, "Are you done?"
Kenzie always answered with a yes, then they would hug and drink hot chocolate together like nothing had happened. She was rarely punished for those spurts of attitude because Mom called them, “Finding my sass.” She also said that werewolves could easily lose their temper and being able to control it is what kept them from being animals. Remembering that always helped. She really was the best mom a girl could ever ask for.
Frustrated and upset, she threw the car door open and climbed out. Because it felt good and suddenly, she did feel mad, she slammed the door closed.
Kenzie kicked her flats off, pulled her shirt over her head, then shimmied out of her pants. Then standing there in her underwear, Kenzie made the decision to let her sudden anger go. She didn’t want to be mad, so she was going to run it off. She slid her underwear off, unclipped her bra and dropped them on top of the rest of her clothes.
Completely naked now, Kenzie walked out of the garage and straight into the woods. She stood there, just inside the tree line and breathed in the familiar scents. She could smell pine and dogwood trees, and the faint scent of the little bunny who likes to hide under the shed. There was a light fragrance of the wildflowers growing randomly throughout the forest floor. But best of all, she could smell the fresh air.
Taking it all in, she felt the first stirrings of the change. Her body knew what she wanted, and she let the feeling flow through her.
It doesn't hurt. It's like a light pressure. She feels her body start to change, to morph into a new shape, the bones cracking as they re- formed. A slight itch crawls across her skin as fur sprouts out all over her body, and she drops to the forest floor as her legs reshape.
Now on all fours, Kenzie quickly shakes out her fur. Oh god, this feels so good. It really has been too long. On instinct, she lets out a loud howl toward the sky. It is full of sorrow and regret, sadness for a life that was cut too short. Letting her voice fade into the breeze, so only an echo remains, she lets go of her anger and frustration.
Sniffing the air, Kenzie took in all the scents around her again, this time so much sharper. And then she takes off. Dodging trees and branches, she runs as fast as she can, no destination in mind. She just wants to feel the breeze in her fur.
As she puts on a burst of speed, she sees a large tree trunk coming up in front of her and leaps over it. She didn’t realize that the other side was a slight hill, and she stumbled, falling with a little tumble to the bottom. Luckily it was just a short fall, the only thing hurt was her pride.
She shakes out her fur and gets back to her feet and takes off again, this time a little bit slower so she can pay more attention to where she’s running.
Kenzie’s not sure how long she runs for when she comes upon the little stream on her property. She must have gone at least three miles to get there. Bending down she laps up some of the fresh cold water. It tastes amazing, cooling her body instantly.
Feeling refreshed, Kenzie decides to sit there for a minute and just enjoy the sounds of her surroundings. As she sits, she can hear a little rustling noise off to her right. When she looks over, there’s a little squirrel climbing up one of the pine trees very slowly. It's like he knows she’s there and he’s trying not to disturb the predator that has entered his domain.
She feels a little bad that she disturbed him and now she doesn’t want to move and possibly scare him off. So, she sits as still as she can, not even blinking as she watches him very slowly climb the tree inch by inch.
Finally, he reaches the branches high enough in the tree that she’s no longer worried about scaring him away. Slowly she gets up, stretching herself out to release the stiffness from sitting in one place for so long. Then, with a heavy sigh, she heads back toward home so she can pack a bag.
It is time to find her other family. As terrifying as that seems, it’s also like she’s been waiting all her life to find that missing piece.
Chapter 2.
"Jordan! You just got your ass kicked! Next time watch your surroundings. Getting distracted like that gets a person killed." Aiden was watching from the sidelines of the training area while the guards practiced maneuvers.
"Ah come on Aiden. Cassie is sneaky and she tricked me, I totally could have had her."
Snickering, he looked over toward Cassie, "Yo sis! Apparently, Jordan doesn't think you play fair!"
"AIDEN!! She is going to kill me."Jordan snapped in Aiden’s ear, sending a mental image of him on his back, paws in the air as if he were playing dead.
**Here the piece breaks off for calculated molecules:**
┌──
(1)
Formula: C26H27ClN3O5S
Source: the OMol25 dataset
Level of theory: the ωB97M-V functional and the def2-TZVPD basis

```
! wB97M-V def2-TZVPD RIJCOSX def2/J DEFGRID3
* xyz -1 1
C 1.199 -0.363 -4.856
N 0.193 -0.912 -3.969
C -0.935 -1.448 -4.606
O -1.124 -1.313 -5.810
N -1.814 -2.167 -3.780
C -2.958 -2.725 -4.471
C -1.879 -1.970 -2.388
O -2.892 -2.256 -1.745
C -0.654 -1.454 -1.745
C -0.648 -1.270 -0.397
C 0.586 -1.038 0.359
C 1.162 0.241 0.401
C 2.394 0.461 0.992
C 3.052 -0.613 1.657
N 4.257 -0.403 2.269
C 4.736 0.941 2.511
C 4.481 1.851 1.322
C 3.017 1.813 0.887
C 4.828 -1.377 3.173
C 4.629 -2.797 2.680
C 3.183 -3.071 2.263
C 2.472 -1.912 1.637
C 1.235 -2.094 1.034
C 0.495 -1.079 -2.608
O 1.643 -0.846 -2.225
H 2.002 0.037 -4.242
H 1.585 -1.152 -5.510
H 0.735 0.416 -5.466
H -3.527 -3.328 -3.768
H -3.578 -1.914 -4.873
H -2.600 -3.338 -5.299
H -1.534 -1.551 0.161
H 0.632 1.067 -0.079
H 4.249 1.359 3.414
H 5.811 0.860 2.716
H 4.766 2.869 1.595
H 5.112 1.542 0.482
H 2.934 2.171 -0.147
H 2.431 2.522 1.489
H 5.897 -1.145 3.260
H 4.381 -1.270 4.178
H 5.296 -2.981 1.831
H 4.921 -3.484 3.478
H 3.174 -3.913 1.559
H 2.616 -3.409 3.144
H 0.772 -3.085 1.014
Cl -2.448 1.165 -1.732
C -2.341 0.780 -0.105
S -2.468 2.077 1.053
C -4.182 2.656 1.223
C -4.501 4.005 1.043
C -5.803 4.456 1.277
C -6.799 3.558 1.672
C -6.487 2.202 1.805
C -5.181 1.752 1.591
O -2.168 1.488 2.344
O -1.718 3.208 0.559
H -2.858 -0.139 0.174
H -3.730 4.701 0.721
H -6.040 5.515 1.161
H -7.807 3.915 1.885
H -7.263 1.494 2.094
H -4.939 0.698 1.712
*
```

Calculated values
- E_tot: -2405.8808 hartree
- E_HOMO: -3.721 eV


(2)
Formula: C26H27HfN12O2S3
Source: the OMol25 dataset
Level of theory: the ωB97M-V functional and the def2-TZVPD basis

```
! wB97M-V def2-TZVPD RIJCOSX def2/J DEFGRID3
* xyz 1 1
Hf -0.492 0.373 -0.764
O -4.375 2.174 -1.482
C -3.334 1.813 -0.991
N -2.182 1.437 -1.645
C -2.249 1.235 -3.018
O -3.184 0.864 -3.676
C -0.908 1.551 -3.623
C -0.759 1.918 -4.943
C 0.492 2.354 -5.363
C 1.530 2.400 -4.451
C 1.308 1.961 -3.153
N 0.111 1.532 -2.746
C -3.135 1.794 0.498
C -4.067 2.370 1.341
C -3.841 2.321 2.707
C -2.702 1.681 3.166
C -1.825 1.120 2.254
N -2.026 1.178 0.930
H -1.618 1.888 -5.597
H 0.648 2.674 -6.384
H 2.510 2.759 -4.728
H 2.096 1.946 -2.417
H -4.936 2.840 0.902
H -4.538 2.775 3.399
H -2.482 1.616 4.222
H -0.937 0.601 2.582
S 0.920 2.221 0.295
C 1.500 1.596 1.835
C 2.113 2.489 2.708
C 2.689 2.055 3.896
C 3.328 3.001 4.755
N 3.839 3.763 5.447
C 2.646 0.693 4.224
C 2.009 -0.199 3.370
C 1.428 0.229 2.179
S 0.579 -0.953 1.201
C 3.248 0.201 5.423
N 3.724 -0.197 6.390
H 2.151 3.540 2.453
H 1.963 -1.245 3.640
C -3.088 -4.744 -0.108
N -2.886 -3.340 0.229
C -3.662 -2.795 1.336
C -2.084 -2.523 -0.471
N -2.107 -1.230 -0.408
N -1.164 -3.142 -1.299
C -0.432 -2.518 -2.279
N 0.213 -3.347 -3.118
N -0.365 -1.227 -2.368
H -2.404 -5.398 0.440
H -2.983 -4.906 -1.179
H -4.107 -5.019 0.154
H -3.913 -3.606 2.014
H -4.588 -2.327 0.991
H -3.065 -2.071 1.890
H -2.877 -0.898 0.155
└──
**Here the piece continues:**
Aiden couldn't help it as he busted out laughing when his sister started circling Jordan from behind. His sister was on the smaller side as far as werewolves went, but she was scrappy and extremely fast. She fought differently than the men did because she didn’t have the physical strength that they had, but her technique was flawless.
She had beaten Jordan at fighting so many times he had lost count. Occasionally he gets the upper hand though, and he is very gracious when he does. Unlike Cassie, who boasts about it for days after.
The funniest thing about it, is that Jordan is one of their best fighters. Cassie just has a different way of doing it. She’s not on the guard, though she could be if she wanted to. She comes to these practices to stay in shape. At least that's what she says.
More likely she just finds it fun to kick the guy’s asses, especially since they all make fun of her for how tiny she is. It's in a loving, brotherly way, but still, she feels like she has to prove something. Secretly though, as good as Cassie is, Aiden was pretty sure Jordan lets her win sometimes.
"Aiden, do you mind if I show him a little humility?"Cassie asked, using mind link.
Calculated molecules, kept here for reference
┌──
Entry 1:
{
  "formula": "C16H58ClN23O11Si",
  "method": "ωB97M-V with the def2-TZVPD basis set",
  "species": ["C", "N", "C", "Si", "C", "C", "C", "Cl", "H", "H", "H", "H", "H", "H", "H", "H", "H", "H", "H", "H", "H", "H", "C", "O", "N", "N", "H", "H", "H", "H", "C", "O", "N", "N", "H", "H", "H", "H", "C", "O", "N", "N", "H", "H", "H", "H", "C", "O", "N", "N", "H", "H", "H", "H", "C", "O", "N", "N", "H", "H", "H", "H", "C", "O", "N", "N", "H", "H", "H", "H", "C", "O", "N", "N", "H", "H", "H", "H", "C", "O", "N", "N", "H", "H", "H", "H", "C", "O", "N", "N", "H", "H", "H", "H", "C", "O", "N", "N", "H", "H", "H", "H", "C", "O", "N", "N", "H", "H", "H", "H"],
└──
Aiden indicated for them to begin,"Go for it, but don't hurt him too bad. We need him on patrol tonight."